Waiver permits Roomba manufacturer to market new self-guided lawn mower for residential use.

robot lawnmower-2The kid down the street who mows your lawn may have to change her business model. Automation is coming. The Roomba automatic floor cleaner, a favorite of cats everywhere, is heading outdoors.

### Here the page breaks off for materials data
- - -
The following is a GGA-PBE calculation of crystalline K2PmRuO6 at its relaxed geometry, from the Alexandria database.

The calculation puts the total moment at 0.0 μB per formula unit. The crystal system is cubic.

It has space group Fm-3m (No. 225), with a = 8.463 Å, b = 8.463 Å, c = 8.463 Å, α = 90.00°, β = 90.00° and γ = 90.00°. The asymmetric unit holds K at (0.250, 0.250, 0.250), Pm at (0.000, 0.000, 0.000), Ru at (0.000, 0.000, 0.500) and O at (0.000, 0.000, 0.275).

=====

The following is a GGA-PBE calculation of crystalline K3Pm3RuO8 at its relaxed geometry, from the Alexandria database.

The calculation puts the total moment at 2.0 μB per formula unit. The crystal system is trigonal.

It has space group R-3m (No. 166, hexagonal axes), with a = 6.9675 Å, b = 6.9675 Å, c = 18.8835 Å, α = 90.00°, β = 90.00° and γ = 120.00°. The asymmetric unit holds K at (0.0000, 0.5000, 0.0000), Pm at (0.0000, 0.5000, 0.5000), Ru at (0.0000, 0.0000, 0.5000), O at (0.0000, 0.0000, 0.2301) and O at (0.0347, 0.5174, 0.2248).

=====

The following is a GGA-PBE calculation of crystalline KPm2RuO8 at its relaxed geometry, from the Alexandria database.

The calculation puts the total moment at 0.8 μB per formula unit. The crystal system is triclinic.

It has space group P-1 (No. 2), with a = 4.227 Å, b = 5.290 Å, c = 7.315 Å, α = 89.98°, β = 74.59° and γ = 89.78°. The asymmetric unit holds K at (0.000, 0.000, 0.000), Pm at (0.377, 0.511, 0.289), Ru at (0.000, 0.000, 0.500), O at (0.173, 0.497, 0.003), O at (0.183, 0.309, 0.591), O at (0.209, 0.778, 0.626) and O at (0.350, 0.977, 0.273).

=====

The following is a GGA-PBE calculation of crystalline K3Pm2RuO6 at its relaxed geometry, from the Alexandria database.

The calculation puts the total moment at 1.0 μB per formula unit. The crystal system is monoclinic.

It has space group C2/m (No. 12), with a = 5.984 Å, b = 10.299 Å, c = 6.552 Å, α = 90.00°, β = 107.31° and γ = 90.00°. The asymmetric unit holds K at (0.000, 0.000, 0.000), K at (0.000, 0.340, 0.000), Pm at (0.000, 0.169, 0.500), Ru at (0.000, 0.500, 0.500), O at (0.221, 0.344, 0.692) and O at (0.245, 0.500, 0.316).

=====

The following is a GGA-PBE calculation of crystalline KPmRuO6 at its relaxed geometry, from the Alexandria database.

The calculation puts the total moment at 0.0 μB per formula unit. The crystal system is trigonal.

It has space group P312 (No. 149), with a = 5.7186 Å, b = 5.7186 Å, c = 5.7396 Å, α = 90.00°, β = 90.00° and γ = 120.00°. The asymmetric unit holds K at (0.0000, 0.0000, 0.0000), Pm at (0.3333, 0.6667, 0.5000), Ru at (0.6667, 0.3333, 0.5000) and O at (0.4056, 0.0553, 0.6894).

=====

The following is a GGA-PBE calculation of crystalline K2PmSO6 at its relaxed geometry, from the Alexandria database.

The calculation puts the total moment at 1.0 μB per formula unit. The crystal system is trigonal.
- - -

iRobot Corporation, maker of the Roomba (and the best name of any tech company), has plans for an automatic, self-guided lawn mower. The problem is to keep it on the grass, away from the pool and the crabby neighbor’s flower beds. The owner will do this by driving stakes into the ground that mark the borders of the mowing area. These will transmit low-power, wideband radio signals that enable the mower to locate itself relative to the stakes, and thus to stay in the specified area.

iRobot cites several advantages over the conventional mower. One is safety; iRobot cites frightening statistics for accidents caused by walk-behind mowers, including amputations and deaths. Another is the environment: ordinary gas-powered mowers, it says, emit as much pollution per hour as 11 cars, and their owners spill 17 millions of gasoline each year, while the iRobot unit relies on rechargeable batteries . iRobot claims its device will also be quieter than gas-powered mowers and will benefit elderly and disabled consumers – not to mention those of us who just hate mowing the lawn.

There must be a catch, though, or you wouldn’t be reading about this in CommLawBlog.

iRobot wants the radio-emitting stakes to operate in the 6240-6740 MHz frequency range. The good news: this is part of a larger band whose rules permit the kind of low-power, wideband signals iRobot needs. The bad news: those rules prohibit “the use of a fixed outdoor infrastructure.” iRobot’s guidance stakes are unquestionably fixed in the ground (during mowing season) and outdoors.

iRobot accordingly asked for a waiver of this rule. It noted that the FCC originally adopted the rule to prevent devices in this band from working as fixed networks over wide areas. iRobot explained that its product can’t do this because the stakes communicate with each other only during set-up, otherwise only with the mower – and never with anything else.

The sole opposition to the waiver came from the National Radio Astronomy Observatory (NRAO) on behalf of radio astronomers who use the 6650-6675.2 MHz segment to observe chemical events in star-forming regions of the Universe. NRAO calculated that its radio-telescopes would receive interference from a lawn mower over a line-of-sight distance of 89 km (55.3 miles). It asked that the FCC require iRobot either to avoid the radio astronomy frequencies or else to install geolocation technology that would prevent operation close to radio astronomy facilities.

-- Misplaced crystal structures --
********
(1)
La6HIr2I3 | the Alexandria database | PBE-GGA | optimized geometry; E = -5.553 eV/atom; space group = C2/m
1.0
7.283 0.010 -0.002
-3.631 6.313 -0.002
-1.220 -2.112 8.235
Ir La I H
2 6 3 1
direct
0.666 0.334 0.000
0.334 0.666 0.000
0.400 0.061 0.186
0.722 0.722 0.187
0.600 0.939 0.814
0.278 0.278 0.813
0.939 0.600 0.814
0.061 0.400 0.186
0.832 0.168 0.500
0.168 0.832 0.500
0.500 0.500 0.500
0.000 0.000 0.000

=====

(2)
La4HIrI2 | the Alexandria database | PBE-GGA | optimized geometry; E = -5.226 eV/atom; space group = P2/m
1.0
4.187 0.000 0.000
0.000 7.043 0.096
0.000 -2.488 8.131
La H I Ir
4 1 2 1
direct
0.500 0.760 0.814
0.000 0.269 0.809
0.500 0.240 0.186
0.000 0.731 0.191
0.500 0.500 0.000
0.000 0.500 0.500
0.500 0.000 0.500
0.000 0.000 0.000

=====

(3)
Nd8HIr3I4 | the Alexandria database | PBE-GGA | optimized geometry; E = -5.497 eV/atom; space group = R-3m
1.0
-1.798 1.192 -8.055
-5.605 -7.578 0.130
-1.721 5.954 5.581
Nd I H Ir
8 4 1 3
direct
0.725 0.684 0.955
0.770 0.315 0.540
0.770 0.316 0.045
0.729 0.686 0.457
0.271 0.314 0.543
0.230 0.685 0.460
0.230 0.684 0.955
0.275 0.316 0.045
0.000 0.000 0.500
0.500 0.000 0.000
0.500 0.000 0.500
0.000 0.000 0.000
0.000 0.500 0.000
0.500 0.500 0.000
0.500 0.500 0.500
0.000 0.500 0.500

=====

(4)
HIrIO2 | the Alexandria database | PBE-GGA | optimized geometry; relative energy among the computed polymorphs = 5.77 eV per formula unit; space group = P4/mmm
1.0
4.060 0.000 0.000
0.000 4.060 0.000
0.000 0.000 3.487
O I Ir H
2 1 1 1
direct
0.000 0.500 0.000
0.500 0.000 0.000
0.000 0.000 0.500
0.500 0.500 0.500
0.000 0.000 0.000

=====

(5)
HIrIO2 | the Alexandria database | PBE-GGA | optimized geometry; relative energy among the computed polymorphs = 0.00 eV per formula unit; space group = P4/mmm
1.0
3.730 0.000 0.000
0.000 3.730 0.000
0.000 0.000 6.280
Ir O H I
1 2 1 1
direct
0.000 0.000 0.000
0.000 0.500 0.000
0.500 0.000 0.000
0.500 0.500 0.500
0.000 0.000 0.500

=====

(6)
H2IrIO | the Alexandria database | PBE-GGA | optimized geometry; E = -3.834 eV/atom; space group = P4/mmm
1.0
-0.505 2.731 -3.211
-3.352 0.916 1.306
1.753 3.077 2.341
H Ir O I
2 1 1 1
direct
0.000 0.000 0.500
0.500 0.000 0.000
0.000 0.000 0.000
0.000 0.500 0.000
0.500 0.500 0.500

=====

(7)
H2IrOsI | the Alexandria database | PBE-GGA | optimized geometry; E = -4.264 eV/atom; space group = P4/mmm
1.0
3.657 0.000 0.000
0.000 5.665 0.000
0.000 0.000 3.657
I H Ir Os
1 2 1 1
direct
0.000 0.000 0.000
0.000 0.000 0.500
0.500 0.000 0.000
0.000 0.500 0.000
0.500 0.500 0.500

=====

(8)
H6IrPdI | the Alexandria database | PBE-GGA | optimized geometry; E = -3.924 eV/atom; space group = P1
1.0
4.913 0.572 1.463
2.959 4.263 0.677
1.317 -0.179 6.381
H Ir I Pd
6 1 1 1
direct
0.415 0.132 0.245
0.104 0.316 0.372
0.449 0.079 0.599
0.611 0.300 0.578
0.959 0.606 0.630
0.278 0.726 0.499
0.397 0.351 0.410
0.183 0.851 0.092
0.602 0.638 0.575

=====

(9)
********
-- The entry goes on --

The FCC granted the waiver. In its view, NRAO had overestimated the risk of interference. Moreover, radio astronomy does not have an allocation at 6650-6675.2 MHz, only a footnote in the allocation table providing that “all practicable steps shall be taken to protect the radio astronomy service from harmful interference.” The FCC ruled that iRobot’s design, including low-to-the-ground transmitters pointing horizontally and a focus on residential marketing, incorporates the “practicable steps” referenced in the footnote. But it imposed conditions on the waiver:

  • iRobot can market the device only for residential use, and must warn purchasers (by labeling and in the instruction manual) that usage is limited to residences.
  • The radio-transmitting stakes may be no higher than 24 inches above the ground.
  • Neither the mower nor the stakes may communicate with other devices.

We look forward to seeing these on the shelf at Home Depot, and a few days after that, to sitting back with a cold drink and watching the lawn get mowed. The kid down the street is welcome to come and watch with us.

[Someone pasted materials data at this point]
┌──
(1)
Material: Pa2Mn2AlFe5
Method: DFT, PBE
State: relaxed

Cell lengths 3.9562, 8.5105, 8.5105 Å; angles 90.00, 90.00, 90.00 degrees
Sites, in units of the cell vectors:
Fe (0.5000, 0.4234, 0.3114)
Fe (0.5000, 0.1886, 0.0766)
Fe (0.5000, 0.8114, 0.9234)
Fe (0.5000, 0.3114, 0.5766)
Fe (0.5000, 0.5000, 0.0000)
Fe (0.5000, 0.6886, 0.4234)
Fe (0.5000, 0.0766, 0.8114)
Fe (0.5000, 0.9234, 0.1886)
Fe (0.5000, 0.5766, 0.6886)
Fe (0.5000, 0.0000, 0.5000)
Pa (0.0000, 0.1525, 0.3475)
Pa (0.0000, 0.3475, 0.8475)
Pa (0.0000, 0.6525, 0.1525)
Pa (0.0000, 0.8475, 0.6525)
Al (0.0000, 0.5000, 0.5000)
Al (0.0000, 0.0000, 0.0000)
Mn (0.0000, 0.8417, 0.3417)
Mn (0.0000, 0.6583, 0.8417)
Mn (0.0000, 0.1583, 0.6583)
Mn (0.0000, 0.3417, 0.1583)

DOS at the Fermi energy = 28.472 states/eV/cell
formation enthalpy at 0 K = -0.0629 eV/atom
total magnetic moment = 15.2 Bohr magnetons per cell

=====

(2)
Material: SrTl2Ir
Method: DFT, PBE
State: relaxed

Cell lengths 5.4572, 5.4572, 5.4572 Å; angles 126.74, 126.74, 78.68 degrees
Sites, in units of the cell vectors:
Sr (0.7500, 0.2500, 0.5000)
Tl (0.2500, 0.7500, 0.5000)
Tl (0.0000, 0.0000, 0.0000)
Ir (0.5000, 0.5000, 0.0000)

DOS at the Fermi energy = 2.029 states/eV/cell
formation enthalpy at 0 K = 0.1781 eV/atom
total magnetic moment = 0.0 Bohr magnetons per cell

=====

(3)
Material: SiNi5Pt4
Method: DFT, PBE
└──
[Here the entry continues]

[Blogmeister Disclosure: Laura Stefani of FHH represented iRobot Corporation in this proceeding. The results in any particular case do not guarantee or predict a similar result in any future case.]